# Job
What is needed: find the line further below that holds "0.6951 0.0389", then type out that line and all lines after it there.
# Contents
/*
# 1
# Li2MnC2O6

A geometry-optimized Li2MnC2O6 structure (GGA+U, Materials Project).

Unit cell a=5.2341 b=7.1946 c=7.7705 alpha=90.00 beta=89.99 gamma=108.00
Last column: nearest neighbours and their distance in Å.
Sites, in units of the cell vectors:
Li 0.3870 0.7879 0.9025  4 O 1.94-2.16
Li 0.6135 0.2123 0.0974  4 O 1.94-2.16
Li 0.1130 0.7121 0.4026  4 O 1.94-2.16
Li 0.8865 0.2876 0.5974  4 O 1.94-2.16
O 0.0055 0.2695 0.1188  1 C 1.29
O 0.4156 0.0937 0.8820  1 C 1.31
O 0.4945 0.2305 0.6185  1 C 1.29
O 0.4203 0.3480 0.2382  1 C 1.30
O 0.5797 0.6517 0.7620  1 C 1.30
O 0.5848 0.9067 0.1179  1 C 1.31
O 0.9153 0.5934 0.6180  1 C 1.31
O 0.9947 0.7308 0.8812  1 C 1.29
O 0.5051 0.7693 0.3811  1 C 1.29
O 0.9203 0.8482 0.2620  1 C 1.30
O 0.0845 0.4065 0.3821  1 C 1.31
O 0.0797 0.1520 0.7382  1 C 1.30
Mn 0.4993 0.4998 0.5000  6 O 2.14-2.29
Mn 0.0006 0.0001 0.0003  6 O 2.14-2.29
C 0.1692 0.3392 0.2435  3 O 1.29-1.31
C 0.8307 0.6608 0.7565  3 O 1.29-1.31
C 0.6692 0.8393 0.2565  3 O 1.29-1.31
C 0.3307 0.1608 0.7435  3 O 1.29-1.31

Properties
Energy relative to the lowest polymorph listed for this composition in meV per atom: 14.8
ρ in g/cm³: 2.3
Crystal system: monoclinic
DFT total energy in eV/atom: -7.1193
Energy of formation in eV per atom: -2.089


# 2
# Li3Co2Si2O8

A geometry-optimized Li3Co2Si2O8 structure (GGA+U, Materials Project).

Unit cell a=5.0147 b=5.5327 c=6.1320 alpha=89.81 beta=89.84 gamma=89.66
Last column: nearest neighbours and their distance in Å.
Sites, in units of the cell vectors:
O 0.3743 0.1149 0.5004  1 Si 1.69
O 0.9015 0.3155 0.7722  1 Si 1.69
O 0.3300 0.1697 0.9987  1 Si 1.65
O 0.8877 0.8866 0.9778  1 Si 1.63
O 0.8879 0.2854 0.2247  1 Si 1.66
O 0.3955 0.6826 0.7211  1 Si 1.65
O 0.8269 0.8611 0.5206  1 Si 1.66, 1 Co 1.85
O 0.4254 0.6826 0.2830  1 Si 1.62
Li 0.4913 0.3419 0.2475  4 O 1.92-2.08
Li 0.4911 0.3366 0.7507  4 O 1.95-2.07
Li 0.9998 0.6670 0.7535  4 O 1.92-2.01
Si 0.0018 0.1605 0.9961  4 O 1.63-1.69
Si 0.4984 0.8304 0.5022  4 O 1.62-1.69
Co 0.5013 0.8395 0.0059  4 O 1.94-2.03
Co 0.9930 0.1586 0.4963  4 O 1.85-1.96

Properties
Energy relative to the lowest polymorph listed for this composition in meV per atom: 12.4
ρ in g/cm³: 3.2
Crystal system: triclinic
DFT total energy in eV/atom: -6.5045
Energy of formation in eV per atom: -2.397

* * * * *

Ge8Pd21, relaxed, DFT GGA-PBE; energy = -5.507 eV/atom; DFT formation energy = -481 meV/atom
1.0
6.6684 -4.5617 6.9868
0.7053 10.2554 -2.9021
-9.4293 -0.4600 4.9969
Ge Pd
16 42
Direct
0.0279 0.3085 0.5282 Ge
0.2555 0.1489 0.3004 Ge
0.6915 0.2197 0.7194 Ge
0.2221 0.4415 0.9718 Ge
0.4016 0.7950 0.8004 Ge
0.0450 0.7445 0.8934 Ge
0.2050 0.0055 0.6066 Ge
0.8484 0.9550 0.6996 Ge
0.3989 0.5984 0.3934 Ge
0.7497 0.7779 0.2194 Ge
0.9945 0.6011 0.1996 Ge
0.8511 0.1516 0.1066 Ge
0.5585 0.5303 0.7806 Ge
0.7803 0.4997 0.4718 Ge
0.4697 0.2503 0.0282 Ge
0.5003 0.9721 0.2806 Ge
0.2014 0.8575 0.1624 Pd
0.5617 0.0439 0.0759 Pd
0.2939 0.7180 0.9822 Pd
0.9680 0.4858 0.9241 Pd
0.1425 0.3049 0.3438 Pd
0.5024 0.2690 0.7937 Pd
0.4070 0.9416 0.6429 Pd
0.7747 0.0413 0.2937 Pd
0.0584 0.7013 0.4653 Pd
0.8291 0.6388 0.0242 Pd
0.7476 0.4810 0.7063 Pd
0.0549 0.5791 0.6902 Pd
0.8888 0.3647 0.3098 Pd
0.5142 0.4383 0.4822 Pd
0.6353 0.9451 0.5242 Pd
0.9513 0.9860 0.1429 Pd
0.2360 0.5930 0.5347 Pd
0.2889 0.9514 0.8438 Pd
0.0486 0.8925 0.3376 Pd
0.7310 0.5247 0.2334 Pd
0.4209 0.1112 0.4758 Pd
0.5190 0.2253 0.2666 Pd
0.0140 0.1570 0.9653 Pd
0.9561 0.0320 0.5178 Pd
0.8430 0.8084 0.8571 Pd
0.2820 0.2642 0.5759 Pd
0.6951 0.0389 0.8376 Pd
0.5549 0.7111 0.6624 Pd
0.7500 0.2500 0.5000 Pd
0.4753 0.7087 0.2063 Pd
0.2913 0.4976 0.7666 Pd
0.1951 0.1709 0.8098 Pd
0.7358 0.3117 0.0178 Pd
0.9587 0.2524 0.7334 Pd
0.6147 0.8049 0.9758 Pd
0.2987 0.7640 0.3571 Pd
0.9611 0.7986 0.6562 Pd
0.6883 0.7061 0.4241 Pd
0.1075 0.4451 0.1562 Pd
*/
# Result
0.6951 0.0389 0.8376 Pd
0.5549 0.7111 0.6624 Pd
0.7500 0.2500 0.5000 Pd
0.4753 0.7087 0.2063 Pd
0.2913 0.4976 0.7666 Pd
0.1951 0.1709 0.8098 Pd
0.7358 0.3117 0.0178 Pd
0.9587 0.2524 0.7334 Pd
0.6147 0.8049 0.9758 Pd
0.2987 0.7640 0.3571 Pd
0.9611 0.7986 0.6562 Pd
0.6883 0.7061 0.4241 Pd
0.1075 0.4451 0.1562 Pd